**Wanted**
What is needed: transcribe the lines below from the one with "1.679" to the one with "energy: 1.6" without additions.
**Given**
____________
(1)
An optimized crystal structure of SbRu5. Source: the Alexandria database, functional PBE.

```
SbRu5
1.0
-3.329 -1.957 3.367
-3.917 -2.866 -1.641
-0.048 -5.040 0.921
Ru Sb
5 1
Direct
0.624 0.624 0.624
0.624 0.128 0.624
0.250 0.250 0.250
0.624 0.624 0.128
0.128 0.624 0.624
0.000 0.000 0.000
```

Values from the calculation:
Mass density: 10.95 g/cm³
Crystal system: cubic
DOS at the Fermi energy: 10.4 states/eV/f.u.
E above lowest polymorph: 0.569 eV/atom

(2)
An optimized crystal structure of SbRu3. Source: the Alexandria database, functional PBE.

```
SbRu3
1.0
4.690 -0.014 0.000
-1.211 4.530 0.000
0.000 0.000 2.910
Ru Sb
3 1
Direct
0.500 0.000 0.500
0.500 0.500 0.000
0.000 0.500 0.500
0.000 0.000 0.000
```

Values from the calculation:
Mass density: 11.42 g/cm³
Crystal system: orthorhombic
DOS at the Fermi energy: 5.2 states/eV/f.u.

(3)
An optimized crystal structure of SbRu. Source: the Alexandria database, functional PBE.

```
SbRu
1.0
-0.071 0.256 -3.159
-2.964 -1.124 -0.024
-1.232 3.243 0.291
Sb Ru
1 1
Direct
0.500 0.500 0.500
0.000 0.000 0.000
```

Values from the calculation:
Mass density: 10.57 g/cm³
Crystal system: tetragonal
DOS at the Fermi energy: 1.5 states/eV/f.u.

(4)
An optimized crystal structure of SbRu. Source: the Alexandria database, functional PBE.

```
SbRu
1.0
-3.018 -0.419 0.898
-1.305 -0.162 -4.459
0.651 -4.724 -0.019
Ru Sb
2 2
Direct
0.000 0.500 0.388
0.000 0.000 0.946
0.500 0.500 0.909
0.500 0.000 0.424
```

Values from the calculation:
Mass density: 10.51 g/cm³
Crystal system: orthorhombic
DOS at the Fermi energy: 2.2 states/eV/f.u.

(5)
An optimized crystal structure of SbRu. Source: the Alexandria database, functional PBE.

```
SbRu
1.0
-5.062 0.691 0.248
-4.789 -3.670 1.590
-0.788 0.890 3.050
Sb Ru
2 2
Direct
0.408 0.088 0.252
0.509 0.495 0.498
0.881 0.582 0.768
0.035 0.002 0.982
```

Values from the calculation:
Mass density: 10.38 g/cm³
Crystal system: monoclinic
DOS at the Fermi energy: 0.9 states/eV/f.u.

(6)
An optimized crystal structure of Sb5Ru. Source: the Alexandria database, functional PBE.

```
Sb5Ru
1.0
2.102 -8.161 0.000
2.102 8.161 0.000
0.000 0.000 5.197
Sb Ru
5 1
Direct
0.367 0.633 0.500
0.657 0.343 0.000
0.056 0.944 0.500
0.454 0.546 0.000
0.744 0.256 0.500
0.056 0.944 0.000
```

Values from the calculation:
Mass density: 6.61 g/cm³
Crystal system: orthorhombic
DOS at the Fermi energy: 2.5 states/eV/f.u.
E above lowest polymorph: 0.000 eV/atom

(7)
An optimized crystal structure of ScSb2Ru. Source: the Alexandria database, functional PBE.

```
ScSb2Ru
1.0
-1.108 -3.898 -0.656
2.721 -1.056 1.679
-0.386 -1.027 6.752
Sb Ru Sc
2 1 1
Direct
0.000 0.051 0.950
0.500 0.212 0.288
0.500 0.711 0.790
0.000 0.527 0.472
```

Values from the calculation:
Mass density: 7.87 g/cm³
Crystal system: monoclinic
DOS at the Fermi energy: 3.1 states/eV/f.u.

(8)
An optimized crystal structure of ScSb2Ru. Source: the Alexandria database, functional PBE.

```
ScSb2Ru
1.0
-3.382 -0.106 -2.616
-0.444 -3.232 0.705
-3.575 0.876 4.586
Ru Sc Sb
1 1 2
Direct
0.500 0.750 0.750
0.500 0.250 0.250
0.000 0.898 0.993
0.000 0.602 0.507
```

Values from the calculation:
Mass density: 7.75 g/cm³
Crystal system: monoclinic
DOS at the Fermi energy: 2.3 states/eV/f.u.

(9)
An optimized crystal structure of ScSb2Ru. Source: the Alexandria database, functional PBE.

```
ScSb2Ru
1.0
9.729 -0.008 -0.004
9.171 3.249 -0.004
9.171 1.573 2.843
Sb Sc Ru
2 1 1
Direct
0.019 0.019 0.019
0.240 0.240 0.240
0.489 0.489 0.489
0.752 0.752 0.752
```

Values from the calculation:
Mass density: 7.17 g/cm³
Crystal system: trigonal
DOS at the Fermi energy: 1.6 states/eV/f.u.

(10)
An optimized crystal structure of ScSb2Ru. Source: the Alexandria database, functional PBE.

```
ScSb2Ru
1.0
-4.818 3.623 -3.306
-6.860 -0.259 -0.389
5.913 0.377 3.489
Ru Sb Sc
1 2 1
Direct
0.780 0.280 0.500
0.216 0.716 0.500
0.950 0.950 0.000
0.554 0.554 0.000
```

Values from the calculation:
Mass density: 7.57 g/cm³
Crystal system: orthorhombic
____________
**Here it is**
2.721 -1.056 1.679
-0.386 -1.027 6.752
Sb Ru Sc
2 1 1
Direct
0.000 0.051 0.950
0.500 0.212 0.288
0.500 0.711 0.790
0.000 0.527 0.472
```

Values from the calculation:
Mass density: 7.87 g/cm³
Crystal system: monoclinic
DOS at the Fermi energy: 3.1 states/eV/f.u.

(8)
An optimized crystal structure of ScSb2Ru. Source: the Alexandria database, functional PBE.

```
ScSb2Ru
1.0
-3.382 -0.106 -2.616
-0.444 -3.232 0.705
-3.575 0.876 4.586
Ru Sc Sb
1 1 2
Direct
0.500 0.750 0.750
0.500 0.250 0.250
0.000 0.898 0.993
0.000 0.602 0.507
```

Values from the calculation:
Mass density: 7.75 g/cm³
Crystal system: monoclinic
DOS at the Fermi energy: 2.3 states/eV/f.u.

(9)
An optimized crystal structure of ScSb2Ru. Source: the Alexandria database, functional PBE.

```
ScSb2Ru
1.0
9.729 -0.008 -0.004
9.171 3.249 -0.004
9.171 1.573 2.843
Sb Sc Ru
2 1 1
Direct
0.019 0.019 0.019
0.240 0.240 0.240
0.489 0.489 0.489
0.752 0.752 0.752
```

Values from the calculation:
Mass density: 7.17 g/cm³
Crystal system: trigonal
DOS at the Fermi energy: 1.6 states/eV/f.u.